Count the lines further down that contain the word "Ce" and give the number alone.

<<<
# K4Cd5P6
Computed PXRD pattern, Cu Kα. Input: a crystal structure in Alexandria, relaxed with PBE.

Cell and atoms:
a b c (Å): 4.430 20.239 17.860
angles (deg): 90.00 90.00 90.00
Space group Cmcm (No. 63)
Symmetry-distinct sites (fractional):
1 K 0.000 0.001 0.123 x8
2 K 0.000 0.182 0.569 x8
3 Cd 0.000 0.128 0.250 x4
4 Cd 0.000 0.275 0.250 x4
5 Cd 0.000 0.365 0.615 x8
6 Cd 0.000 0.428 0.250 x4
7 P 0.000 0.139 0.750 x4
8 P 0.000 0.203 0.123 x8
9 P 0.000 0.444 0.750 x4
10 P 0.000 0.449 0.006 x8

Peak list (10 most intense, 10 to 80 degrees two-theta, by intensity)
2θ (°)	d_spacing	intensity	h k l
25.44	3.501	100	1 1 3
42.47	2.128	59	1 7 4
31.38	2.851	50	1 3 4
10.05	8.805	45	0 2 1
40.73	2.215	41	2 0 0
36.17	2.483	32	1 5 4
26.90	3.315	31	0 6 1
30.02	2.977	30	0 0 6
38.52	2.337	29	1 7 2
40.40	2.233	27	0 0 8

----------

Entry 1:
The following is a computed powder X-ray diffraction pattern of CeNi4Te. It was derived from a PBE-relaxed structure, using Cu Kα X-rays.
Intensities are scaled so that the largest is 100.

Largest 10 diffraction maxima, in order of rising 2θ, 2θ = 10–90°:
d = 4.139 Å, rel. 5.8; d = 2.534 Å, rel. 55.0; d = 2.161 Å, rel. 100.0; d = 2.069 Å, rel. 19.7; d = 1.645 Å, rel. 1.6; d = 1.463 Å, rel. 19.8; d = 1.380 Å, rel. 30.0; d = 1.267 Å, rel. 22.7; d = 1.133 Å, rel. 8.7; d = 1.093 Å, rel. 10.8

Cell and atoms:
```
CeNi4Te
1.0
0.000 3.584 3.584
3.584 0.000 3.584
3.584 3.584 0.000
Ce Ni Te
1 4 1
Cartesian
0.000 0.000 0.000
4.482 2.687 2.687
2.687 4.482 2.687
2.687 2.687 4.482
4.482 4.482 4.482
1.792 1.792 1.792
```

---

Entry 2:
The following is a computed powder X-ray diffraction pattern of BaSrPtBr. It was derived from a PBE-relaxed structure, using Cu Kα X-rays.
Intensities are scaled so that the largest is 100.

Largest 10 diffraction maxima, in order of rising 2θ, 2θ = 10–90°:
d = 8.254 Å, rel. 40.8; d = 3.667 Å, rel. 35.4; d = 3.034 Å, rel. 100.0; d = 2.602 Å, rel. 27.5; d = 2.217 Å, rel. 45.6; d = 2.081 Å, rel. 26.3; d = 1.790 Å, rel. 21.5; d = 1.510 Å, rel. 15.8; d = 1.393 Å, rel. 18.9; d = 1.252 Å, rel. 10.3

Cell and atoms:
```
BaSrPtBr
1.0
2.217 1.280 8.254
-2.217 1.280 8.254
0.000 -2.560 8.254
Ba Sr Pt Br
1 1 1 1
Cartesian
0.000 0.000 0.000
0.000 0.000 4.793
0.000 0.000 14.702
0.000 0.000 19.078
```

---

Entry 3:
The following is a computed powder X-ray diffraction pattern of La2Te2F. It was derived from a PBE-relaxed structure, using Cu Kα X-rays.
Intensities are scaled so that the largest is 100.

Largest 10 diffraction maxima, in order of rising 2θ, 2θ = 10–90°:
d = 3.863 Å, rel. 58.6; d = 3.680 Å, rel. 56.5; d = 3.029 Å, rel. 81.6; d = 2.798 Å, rel. 100.0; d = 2.792 Å, rel. 56.6; d = 2.728 Å, rel. 78.2; d = 2.542 Å, rel. 50.1; d = 2.384 Å, rel. 57.2; d = 2.301 Å, rel. 57.2; d = 2.051 Å, rel. 39.7

Cell and atoms:
```
La2Te2F
1.0
2.051 -5.750 0.000
2.051 5.750 0.000
0.000 0.000 12.117
La Te F
4 4 2
Cartesian
2.051 5.208 6.059
2.051 3.191 8.960
2.051 -3.191 2.902
2.051 -5.208 0.000
2.051 5.009 2.928
2.051 1.957 5.456
2.051 -1.957 11.514
2.051 -5.009 8.987
2.051 1.577 1.374
2.051 -1.577 7.432
```

---

Entry 4:
The following is a computed powder X-ray diffraction pattern of NaAc8Ni4. It was derived from a PBE-relaxed structure, using Cu Kα X-rays.
Intensities are scaled so that the largest is 100.

Largest 10 diffraction maxima, in order of rising 2θ, 2θ = 10–90°:
d = 7.364 Å, rel. 13.3; d = 3.677 Å, rel. 13.3; d = 3.472 Å, rel. 24.0; d = 3.288 Å, rel. 100.0; d = 2.889 Å, rel. 15.2; d = 2.779 Å, rel. 14.7; d = 2.454 Å, rel. 20.2; d = 2.212 Å, rel. 11.8; d = 2.041 Å, rel. 29.4; d = 1.967 Å, rel. 12.5

Cell and atoms:
```
NaAc8Ni4
1.0
-7.364 7.364 2.212
7.364 -7.364 2.212
7.364 7.364 -2.212
Na Ac Ni
1 8 4
Cartesian
0.000 0.000 0.000
9.716 0.633 0.000
9.545 4.587 0.000
0.633 5.013 0.000
4.587 5.184 0.000
2.777 2.180 2.212
6.731 2.351 2.212
-2.180 2.777 2.212
-2.351 6.731 2.212
4.761 2.273 0.000
5.091 -2.603 2.212
2.273 9.968 0.000
2.603 5.091 2.212
```

----------
>>>

1